2003 Annual Science Report
Virtual Planetary Laboratory (JPL/CalTech)
Reporting | JUL 2002 – JUN 2003
Executive Summary
Towards Characterization of Extrasolar Terrestrial Planets
“There are countless suns and countless earths all rotating around their suns in exactly the same way as the seven planets of our system. We see only the suns because they are the largest bodies and are luminous, but their planets remain invisible to us because they are smaller and non-luminous. The countless worlds in the universe are no worse and no less inhabited than our Earth.” -GIORDANO BRUNO (1584) |
**The entry is interrupted by calculated crystals:**
- - -
AcPrCl | GGA-PBE | optimized geometry

Results
formation energy from raw total energies	-739	meV per atom

a = 3.725 Å, b = 3.725 Å, c = 7.644 Å
α = 104.10°, β = 104.10°, γ = 90.00°
Positions (direct):
Pr 0.685 0.685 0.371
Cl 0.326 0.326 0.651
Ac 0.989 0.989 0.978

=====

AcPrCl | GGA-PBE | optimized geometry

Results
formation energy from raw total energies	-641	meV per atom

a = 7.697 Å, b = 7.697 Å, c = 5.705 Å
α = 113.13°, β = 113.13°, γ = 114.64°
Positions (direct):
Ac 0.273 0.727 0.000
Pr 0.790 0.790 0.000
Ac 0.727 0.273 0.000
Cl 0.711 0.711 0.422
Pr 0.210 0.210 0.000
Cl 0.289 0.289 0.578

=====

AcPr2Cl8 | GGA-PBE | optimized geometry

Results
formation energy from raw total energies	-2159	meV per atom

a = 5.426 Å, b = 7.692 Å, c = 7.692 Å
α = 111.39°, β = 99.20°, γ = 99.20°
Last column: magnetic moment on the atom in μB.
Positions (direct):
Pr 0.000 0.319 0.681  0.24
Cl 0.500 0.235 0.765  0.00
Cl 0.500 0.765 0.235  0.00
Cl 0.075 0.317 0.063  0.00
Cl 0.673 0.363 0.363  0.00
Cl 0.925 0.937 0.683  0.00
Cl 0.327 0.637 0.637  0.00
Cl 0.075 0.063 0.317  0.00
Ac 0.500 0.000 0.000  0.05
Pr 0.000 0.681 0.319  0.24
Cl 0.925 0.683 0.937  0.00

=====

For the records above, the corresponding size of the total moment values read 0.00, 0.00, 1.03 μB/cell.
- - -
Are we alone? The richness and enormous vastness of our universe makes our solitariness seem almost unthinkable, and so this ancient musing has remained one of the most fundamental of human questions. Yet while the medieval monk Giordano Bruno could only speculate on the prevalence of other planetary systems that could harbor life, in the last decade we have been fortunate enough to see the search for other worlds evolve beyond the realms of heresy and science fiction, into science theory, and finally, into science fact.
As this report is being written, we now know of 107 planets outside our own solar system. These planets have been discovered using existing ground-based telescopes. However, in the coming decades NASA and the European Space Agency (ESA) will design, build and fly space-borne observatories to expand our knowledge of the number and distribution of planets in our Galaxy, and to determine whether or not these planets might support life. These missions, such as NASA’s Kepler, Terrestrial Planet Finder (TPF), and Life Finder will specifically search for habitable terrestrial worlds, that is, Earth-sized rocky worlds that can maintain liquid water on their surfaces for extended periods of time. TPF, planned for launch in 2015, will be designed to directly detect Earth-sized worlds around nearby stars, and to determine whether or not these sister planets are habitable, like our own Earth, and will initiate the search for the global signs of non-technologically advanced life. The most ambitious of these planned missions, Life Finder, is envisioned to build upon the discoveries of TPF, to provide a more detailed spectroscopic search for non-technologically advanced life on planets in our Solar neighborhood.
To optimize the designs and search strategies for these NASA missions, and to ultimately interpret the data that they return, we must expand our ability to recognize worlds that might have habitable conditions, and to discriminate between planets with and without life, based only on remote-sensing observations.
Characterizing Extrasolar Terrestrial Planets
Methods for characterizing terrestrial planets in our solar system have been refined for decades by planetary and Earth-observing scientists. Some of these techniques can be adapted for use in the characterization of terrestrial planets around other stars. Examples include time-resolved whole-disk photometry, spectroscopic remote sensing for the detection and retrieval of atmospheric and surface composition and physical parameters, and time-resolved spectroscopy of spectral features to look for diurnal or seasonal variations in surface albedo or atmospheric composition. However, since existing observing techniques are not yet sensitive enough to directly detect and gather information on Earth-sized planets around other stars, our principal means of advancing our understanding of these planets is via theoretical modeling studies. So, to improve our understanding of the potential range of environmental and spectroscopic characteristics for terrestrial planets in our galaxy, our team is developing a suite of innovative modeling tools to simulate the environments and spectra of a range of plausible extrasolar planets and for the early Earth.
These modeling tools comprise a Virtual Planetary Laboratory (VPL). This tool will incorporate models to couple the radiative fluxes, climate, geology and biology of a terrestrial planet to produce a self-consistent state for a broad range of candidate planetary environments. Self-consistency between a planet’s chemical, physical, and biological properties state is particularly important when trying to understand the detectability of biosignatures in the spectrum of the planet’s atmosphere and surface. This effort is strongly interdisciplinary, calling upon the expertise of planetary scientists, astronomers, biologists, geologists, chemists, mathematicians, computer scientists and statisticians to all work together towards a focused common goal. This effort therefore exemplifies the science of astrobiology, an interdisciplinary approach to understanding life in our universe.
The Virtual Planetary Laboratory
The core of the VPL is a coupled radiative transfer/climate/chemistry model, which is being assembled from existing models that have already been validated individually and used to address many key scientific problems in planetary and Earth sciences. This coupled-climate-chemistry model is being augmented by interchangeable modules currently under development. These modules consist of geological, exogenic, atmospheric escape, and life process models that will be used to characterize fluxes of heat and trace species at the upper and lower boundaries of a planetary atmosphere.
The VPL will be validated using data derived from terrestrial planets in our own solar system. It will then be used to explore the plausible range of atmospheric compositions and thermal structures, and to generate disk-averaged spectra for extrasolar planets and for early Earth. These models will be run with and without biological processes to improve our understanding of the effects of life on a planet’s atmospheric composition and spectrum. They will also be used to create a spectral catalog that can be used as a statistical sample space to explore the optimum wavelength range, spectral resolution, and instrument sensitivity required to characterize extrasolar terrestrial planets.

Figure 1. The suite of radiative transfer, climate, chemical, geological, and biological component models are shown as boxes,and their interactions with each other are shown as arrows. The information transferred between these component models is labeled at each interface. The order in which these component models are coupled to each other during the course of building the VPL is specified by the Task number. The radiative transfer, climate and atmospheric chemistry models already exist, and the remaining models are under development by our team. At each task development stage the model can be used to generate synthetic spectra to derive required capabilities for astronomical instrumentation.
Progress This Year
Assembling the Virtual Planetary Laboratory
In the second year of this program, we continued our long-term efforts to develop the suite of VPL models. Focusing initially on the architecture of the integration, we defined the basic structure and communication modes for the integrated model. This included defining the requirements for the model-to-model translators and the nature and content of the common database that will hold initialization information, model input and output, and control status flags. Integration of the radiative transfer and climate models is completed, with the climate and chemistry models to follow. The geological, exogenic and biological processes will initially be specified as “state vectors” in the common database, to allow testing on the larger model, and later will be replaced with the full analytical or numerical models.
We have updated our one-dimensional (1-D) radiative-convective equilibrium (RCE) climate model to better support interaction with the geological and life components of the planet. We upgraded the RCE model to incorporate our line-by-line, multiple scattering radiative transfer model in place of simpler band modeling and 2-stream methods. A mixing length approach has been implemented to provide a self-consistent description of the vertical transport of heat and volatiles throughout the environment. Both these new features enhance the model’s ability to provide climate constraints needed for the geological and life processes. We also added a simple cloud model for formation and dissipation of clouds, which will later include precipitation.
Work has also proceeded on defining the “boundary layer” geology and atmospheric escape models. We have planned a series of 1-D reactive transport models to characterize biogeochemical cycling in different environments, which will couple to the atmosphere and lithosphere via flux terms fed through the database. This design draws upon team work performed this year on modeling to analyze Archean paleosol isotopic measurements. This work has improved understanding of elemental cycling on ancient Earth and will provide empirical constraints for VPL models of the Archean Earth.
This year, team members also worked on geology models that link the planetary boundary layer with the planet’s mantle and core. This included the development of physical models to reconcile geochemical observations, and to understand the link between plate tectonics, thermal evolution and degassing for the Earth throughout its history. Team members have also explored the link between planetary thermal evolution and the generation of the planetary magnetic fields that can strongly affect long-term planetary habitability.
Looking to the upper planetary boundary layer, we have developed a new technique to model hydrodynamic loss processes from planetary atmospheres that overcomes previous difficulties and instabilities in modeling supersonic outflow. We have validated a preliminary model, which will be incorporated as an upper boundary module for the VPL. This model can be applied to both terrestrial planets and extrasolar gas giant planets.
To support the VPL life modules, we have conducted both field work and modelling studies. We have continued our field assessments of life in high-pH aquifers and springs associated with ultramafic rocks, an environment analagous to early Earth’s, or an undifferentiated water-rich terrestrial planet. Our objectives are to understand how microbial communities may have fared in primordial environments without prior chemical weathering, to understand nutrient limitations, and to look for biosignatures associated with these communities. Several organisms have been isolated, and a baseline for annual and seasonal variations in geochemical conditions is emerging.
We have also been developing an anaerobic early Archean ecosystem model to understand biological productivity and methane production prior to the origin of oxygenic photosynthesis. The model explicitly accounts for cycling of hydrogen and carbon through primary production by hydrogen utilizing methanogens, fermentation, methanogenesis and photolysis. The ecosystem model has been run in conjunction with an atmospheric chemistry model. Initial results indicate that for a volcanic flux of hydrogen at the modern rate, the atmosphere could contain up to ~350 ppmv of methane if hydrogen utilizing methanogens were the primary producers. This level of methane would produce a strong signature in the spectrum of the planet.
We have also initiated a dynamical model of a microbial ecosystem, which includes interaction with the external environment, including the stellar flux. In this multicomponent model, individual microbial species interact with each other, and their growth is governed by available energy and chemical resources, and limited by space. We continue to explore the stability of these equations, for both the autonomous and environment-coupled system. We are also working on expansion of the model to include stellar-driven photosynthetic life.
In addition to development of the architecture and individual models, we are also gathering spectroscopic information required as input for extrasolar planet models. Both as ongoing support to the planetary modeling efforts, and as part of independent research to explore the concept of the “G star analog” we have combined astronomical observations and photospheric models to create high-resolution, full-wavelength range spectra for stars of different spectral type. Team members have also collated an ongoing, yet already comprehensive, database of spectral line lists and absorption cross-sections for 45 molecules required by planetary atmosphere models.
In addition to initiating the assembly of the VPL itself, our team has also worked on two related proof-of-concept or precursor projects, both of which use component models of the VPL to explore the detectability of biosignatures via remote-sensing techniques. These modeling efforts and results are described below.
Spatially Resolved Planetary Models
The first such project uses the VPL’s radiative transfer model to produce spatially resolved spectral models of planets in our own solar system. The 3-D “datacube” of synthetic spectra that is generated for each planet is being used to determine the effects of spatial and spectral averaging and temporal variability on the detectability of biosignatures, and other spectral features that provide important constraints on a planet’s physical and chemical state, and its potential for habitability. These models are also being created as a validation standard to test progressive development of the larger VPL model. This year, we completed the Mars model, producing disk-averaged synthetic spectra and lightcurves, and used this model and TPF instrument models to understand our ability to detect the CO2 ice cap in the disk-averaged spectrum of a successively more frozen planetary surface. We are currently working on the comparable Earth model. As an experimental validation component for this project, our collaborators at the Australian Center for Astrobiology (Bailey and Chamberlain) continue to acquire and analyze high-resolution full-disk spectra of Mars and Venus using ground-based telescopes.
Earths Around Other Stars
In collaboration with the Penn State NAI team, we have explored the environments and detectability of biosignatures from extrasolar terrestrial planets similar to the Earth. Using a coupled 1-D radiative-convective climate model, we have determined atmospheric compositions for Earth-like planets with oxygen levels from the present atmospheric level (PAL), down to 1/100,000th PAL, around stars hotter and cooler than our own Sun. We have also run self-consistent models for atmospheric conditions during the Earth’s early Proterozoic. We have the used the VPL radiative transfer model, and the detailed spectrum of the parent star, to generate high-resolution synthetic spectra for these atmospheres, which we have analyzed for detectability using TPF instrument simulator models. These spectra are the first steps in building a spectral library of terrestrial planets for use in TPF mission planning and data analysis.
Significant results included an improved understanding of the behaviour and detectability of ozone and other atmospheric constituents for an Earth-like atmosphere at different oxygen levels. These simulations have also provided significant insight into the combined effects of temperature and trace gas distributions on the detectability of biosignatures, especially around stars of different spectral type, and the results are directly relevant to the Terrestrial Planet Finder mission. As part of this project, we also calculated surface ultraviolet (UV) fluxes and UV dose rates for erythema and deoxyribonucleic acid (DNA) damage. We find that planetary UV surface fluxes are low for high-oxygen planets orbiting the high-UV output F stars, because of the creation of a protective “super” ozone layer. These results will help us to further understand what effects stellar type and planetary atmospheric composition might have on planetary habitability and biological evolution.
Extrasolar Hot Jupiters
We have developed a 1-D chemical model for extrasolar “hot Jupiters” for which the formation of hydrocarbons, oxygen chemistry, and hydrodynamical loss are significantly enhanced because of their environment. Significant results include an improved understanding of the chemical mechanism for H and H2 production in these unusual planets. The modifications to the chemical model to incorporate new chemistry, database modeling, and to couple it to a hydrodynamic escape code are directly applicable to modifications required for the VPL terrestrial planet models.
Education and Public Outreach
Our EPO team this year has participated in planning meetings for the Cosmic Origins travelling museum exhibit and is developing a framework for a family guide on Life Elsewhere. The EPO team has also run workshops on astrobiology and astronomy at several conferences. Scientific team members have participated in or contributed to many courses, presentations, talks and media interviews, including 7 university courses, 19 university seminars, a talk to middle school students, 7 talks at museums or observatories, and 6 interactions with the media, including interviews for public television. Team scientists have also participated in preparing and reviewing EPO material for the web. Further information about the VPL can be found on our public website, which was launched this year: http://vpl.ipac.caltech.edu.

Someone pasted crystal structures at this point =
┌──
Computed, not measured: a relaxed structure of NaIn8Ir2 at the PBE level of DFT.

Lattice parameters (Å, degrees): 7.4205 7.4205 5.2223 97.12 97.12 107.47
Atoms (fractional coordinates):
Na1 0.0000 0.0000 0.0000
In1 0.0821 0.3310 0.5818
In2 0.2713 0.7287 0.0000
In3 0.3310 0.0821 0.5818
In4 0.3954 0.3954 0.2136
In5 0.6046 0.6046 0.7864
In6 0.6690 0.9179 0.4182
In7 0.7287 0.2713 0.0000
In8 0.9179 0.6690 0.4182
Ir1 0.2984 0.7016 0.5000
Ir2 0.7016 0.2984 0.5000

Values from the calculation:
Relative energy among the computed polymorphs (meV/atom): 0
Energy of formation (eV per atom): -0.11
Symmetry: C2/m
V (Å³/atom): 24.4
Final energy (eV per atom): -3.83


Computed, not measured: a relaxed structure of Hg12Bi3Cl5 at the PBE level of DFT.

Lattice parameters (Å, degrees): 15.3343 15.3343 15.3343 109.47 109.47 109.47
Atoms (fractional coordinates):
Hg1 0.0616 0.2352 0.1320
Hg2 0.0616 0.3264 0.9296
Hg3 0.0704 0.6320 0.3968
Hg4 0.0704 0.9384 0.6736
Hg5 0.1032 0.7352 0.6736
Hg6 0.1032 0.8680 0.4296
Hg7 0.1320 0.0616 0.2352
Hg8 0.1320 0.5704 0.8968
Hg9 0.1736 0.2352 0.6032
Hg10 0.1736 0.4384 0.5704
Hg11 0.2352 0.1320 0.0616
Hg12 0.2352 0.6032 0.1736
Hg13 0.2648 0.3264 0.8968
Hg14 0.2648 0.4384 0.3680
Hg15 0.3264 0.8968 0.2648
Hg16 0.3264 0.9296 0.0616
Hg17 0.3680 0.2648 0.4384
Hg18 0.3680 0.6032 0.9296
Hg19 0.3968 0.0704 0.6320
Hg20 0.3968 0.8264 0.7648
Hg21 0.4296 0.1032 0.8680
Hg22 0.4296 0.8264 0.5616
Hg23 0.4384 0.3680 0.2648
Hg24 0.4384 0.5704 0.1736
Hg25 0.5616 0.4296 0.8264
Hg26 0.5616 0.6320 0.7352
Hg27 0.5704 0.1736 0.4384
Hg28 0.5704 0.8968 0.1320
Hg29 0.6032 0.1736 0.2352
Hg30 0.6032 0.9296 0.3680
Hg31 0.6320 0.3968 0.0704
Hg32 0.6320 0.7352 0.5616
Hg33 0.6736 0.0704 0.9384
Hg34 0.6736 0.1032 0.7352
Hg35 0.7352 0.5616 0.6320
Hg36 0.7352 0.6736 0.1032
Hg37 0.7648 0.3968 0.8264
Hg38 0.7648 0.8680 0.9384
Hg39 0.8264 0.5616 0.4296
Hg40 0.8264 0.7648 0.3968
Hg41 0.8680 0.4296 0.1032
Hg42 0.8680 0.9384 0.7648
Hg43 0.8968 0.1320 0.5704
Hg44 0.8968 0.2648 0.3264
Hg45 0.9296 0.0616 0.3264
Hg46 0.9296 0.3680 0.6032
Hg47 0.9384 0.6736 0.0704
Hg48 0.9384 0.7648 0.8680
Bi1 0.1250 0.2500 0.3750
Bi2 0.1250 0.3750 0.7500
Bi3 0.2500 0.3750 0.1250
Bi4 0.2500 0.8750 0.6250
Bi5 0.3750 0.1250 0.2500
Bi6 0.3750 0.7500 0.1250
Bi7 0.6250 0.2500 0.8750
Bi8 0.6250 0.8750 0.7500
Bi9 0.7500 0.1250 0.3750
Bi10 0.7500 0.6250 0.8750
Bi11 0.8750 0.6250 0.2500
Bi12 0.8750 0.7500 0.6250
Cl1 0.0000 0.0000 0.0000
Cl2 0.0000 0.0000 0.5000
Cl3 0.0000 0.5000 0.0000
Cl4 0.0000 0.5000 0.5000
Cl5 0.1250 0.7500 0.8750
Cl6 0.1250 0.8750 0.2500
Cl7 0.2500 0.1250 0.8750
Cl8 0.2500 0.6250 0.3750
Cl9 0.3750 0.2500 0.6250
Cl10 0.3750 0.6250 0.7500
Cl11 0.5000 0.0000 0.0000
Cl12 0.5000 0.0000 0.5000
Cl13 0.5000 0.5000 0.0000
Cl14 0.5000 0.5000 0.5000
Cl15 0.6250 0.3750 0.2500
Cl16 0.6250 0.7500 0.3750
Cl17 0.7500 0.3750 0.6250
Cl18 0.7500 0.8750 0.1250
Cl19 0.8750 0.1250 0.7500
Cl20 0.8750 0.2500 0.1250

Values from the calculation:
Symmetry: Ia-3d
V (Å³/atom): 34.7
└──
Figure 2. Plots showing a) atmospheric temperature and b) ozone mixing ratio, as function of altitude for Earth-like planets with successively lower abundances of oxygen in their atmospheres. The blue line shows results for an atmosphere with the present atmospheric level of O2, and the other lines are labeled with the factor of 10 reduction in oxygen abundance from the present level. These plots show the gradual cooling of the stratosphere, and the descent of the peak concentration of ozone in the atmosphere as a function of the decreasing atmospheric O2 abundance.
**Unrelated to this entry: records of crystals:**
DFT (PBE) results for a geometry-optimized ScMn2Pd5 structure.

```
data_ScMn2Pd5
_cell_length_a 4.084
_cell_length_b 4.084
_cell_length_c 14.989
_cell_angle_alpha 90.00
_cell_angle_beta 90.00
_cell_angle_gamma 90.00
_symmetry_space_group_name_H-M 'I 4/m m m'
_symmetry_Int_Tables_number 139
_symmetry_space_group_name_Hall '-I 4 2'
loop_
_atom_site_label
_atom_site_type_symbol
_atom_site_fract_x
_atom_site_fract_y
_atom_site_fract_z
_atom_site_occupancy
Sc1 Sc 0.000 0.000 0.000 1
Mn1 Mn 0.000 0.000 0.250 1
Pd1 Pd 0.000 0.000 0.500 1
Pd2 Pd 0.000 0.500 0.133 1
```

Calculated values
* raw total energy: -6.842 eV/atom

=====

DFT (PBE) results for a geometry-optimized Ce4IrRuCl2 structure.

```
data_Ce4IrRuCl2
_cell_length_a 6.986
_cell_length_b 4.031
_cell_length_c 7.746
_cell_angle_alpha 90.00
_cell_angle_beta 107.50
_cell_angle_gamma 90.00
_symmetry_space_group_name_H-M 'P 1 2/m 1'
_symmetry_Int_Tables_number 10
_symmetry_space_group_name_Hall '-P 2y'
loop_
_atom_site_label
_atom_site_type_symbol
_atom_site_fract_x
_atom_site_fract_y
_atom_site_fract_z
_atom_site_occupancy
Ce1 Ce 0.232 0.000 0.209 1
Ce2 Ce 0.261 0.500 0.793 1
Ir1 Ir 0.500 0.000 0.000 1
Ru1 Ru 0.000 0.500 0.000 1
Cl1 Cl 0.000 0.000 0.500 1
Cl2 Cl 0.500 0.500 0.500 1
```

Calculated values
* formation energy without anion corrections: -1.0370 eV per atom

=====

Number 1: M_tot 1.094 μB/atom. Number 2: M_tot 0.407 μB/atom.

~~~~~

Below is Zn2Cd2As after structural relaxation, with properties calculated at the PBEsol level.

Values from the calculation:
SG: I4/mmm, No. 139
VASP energy: -1.88 eV/atom
energy of formation from the pure elements: 254 meV/atom
DOS(E_F): 0.290 states/eV per atom
magnetization: 0.00 Bohr magnetons per cell

a b c (Å): 6.841 6.841 6.841
angles (deg): 146.62 146.62 47.93
Atoms (fractional coordinates):
Zn: 0.093 0.093 0.000
Zn: 0.907 0.907 0.000
Cd: 0.250 0.750 0.500
Cd: 0.750 0.250 0.500
As: 0.500 0.500 0.000

Below is Ag3Mo3AsO13 after structural relaxation, with properties calculated at the PBEsol level.

Values from the calculation:
SG: P-1, No. 2
VASP energy: -7.32 eV/atom
raw formation energy: -1.391 eV per atom
magnetization: 0.00 Bohr magnetons per cell

a b c (Å): 8.068 8.086 9.516
angles (deg): 113.48 97.46 105.32
Atoms (fractional coordinates):
Ag: 0.072 0.335 0.055
Ag: 0.267 0.541 0.571
Ag: 0.375 0.634 0.923
Ag: 0.625 0.366 0.077
Ag: 0.733 0.459 0.429
Ag: 0.928 0.665 0.945
Mo: 0.109 0.946 0.737
Mo: 0.308 0.086 0.249
Mo: 0.477 0.210 0.636
Mo: 0.523 0.790 0.364
Mo: 0.692 0.914 0.751
Mo: 0.891 0.054 0.263
As: 0.069 0.723 0.341
As: 0.931 0.277 0.659
O: 0.027 0.268 0.508
O: 0.062 0.465 0.836
O: 0.094 0.932 0.324
O: 0.116 0.179 0.234
O: 0.194 0.148 0.922
O: 0.218 0.798 0.754
O: 0.250 0.878 0.074
O: 0.255 0.067 0.636
O: 0.267 0.685 0.385
O: 0.401 0.312 0.517
O: 0.444 0.003 0.373
O: 0.460 0.622 0.166
O: 0.462 0.255 0.220
O: 0.538 0.745 0.780
O: 0.540 0.378 0.834
O: 0.556 0.997 0.627
O: 0.599 0.688 0.483
O: 0.733 0.315 0.615
O: 0.745 0.933 0.364

Figure 3. This plot shows the ozone band as a function of atmospheric oxygen abundance for a planet around a G2V star. The ozone column decreases, but remains appreciable down to O2 levels of 0.01 PAL, but the 9.6um ozone band retains almost the same strength down to this O2 level because the lower ozone column is offset by enhanced absorption due to the greater temperature difference between the stratosphere and the warm, emitting planetary surface.